Wanted:
Could you duplicate the part of the calculation results underneath that starts with the line with "0.4630" and stops after the one with "0.2500 0.5060"?
File:
~~~
(1)
Cu3OF5: calculated PXRD pattern (Cu Kα X-rays), based on a DFT-relaxed cell (GGA-PBE, Alexandria).

Largest 6 diffraction maxima, sorted by position, 10 to 90 degrees two-theta:
Position (°2θ)	d (Å)	I (rel.)
26.1	3.412	100
28.1	3.172	85
33.5	2.674	40
33.8	2.653	37
35.5	2.526	24
53.7	1.707	52

Cell lengths 4.6660, 5.7534, 7.6404 Å; angles 91.70, 90.41, 95.57 degrees
Atoms (fractional coordinates):
Cu 0.0000 0.0000 0.0000
Cu 0.0034 0.6838 0.6679
Cu 0.4641 0.1648 0.6858
Cu 0.4689 0.8303 0.3477
Cu 0.4955 0.4970 0.0086
Cu 0.9958 0.3539 0.3496
O 0.1770 0.6404 0.4480
O 0.1829 0.9605 0.7771
F 0.1987 0.2896 0.1114
F 0.2655 0.1634 0.4630
F 0.2790 0.4776 0.7940
F 0.2868 0.8005 0.1235
F 0.6731 0.8640 0.5614
F 0.6835 0.1817 0.9032
F 0.7087 0.5169 0.2261
F 0.7663 0.3795 0.5905
F 0.7844 0.0359 0.2432
F 0.7923 0.6978 0.8994

***

(2)
Cu4O3F: calculated PXRD pattern (Cu Kα X-rays), based on a DFT-relaxed cell (GGA-PBE, Alexandria).

Largest 6 diffraction maxima, sorted by position, 10 to 90 degrees two-theta:
Position (°2θ)	d (Å)	I (rel.)
20.2	4.396	100
34.3	2.614	34
38.3	2.348	25
38.6	2.333	24
41.1	2.195	29
42.5	2.126	25

Cell lengths 5.1050, 5.1223, 5.2459 Å; angles 62.62, 63.09, 65.39 degrees
Atoms (fractional coordinates):
Cu 0.0000 0.0000 0.0000
Cu 0.0340 0.5460 0.7318
Cu 0.4840 0.5224 0.9966
Cu 0.8372 0.3515 0.5040
O 0.0946 0.6083 0.3300
O 0.2433 0.7668 0.7433
O 0.8177 0.3331 0.1446
F 0.5736 0.0972 0.8062

***

(3)
Cu4OF6: calculated PXRD pattern (Cu Kα X-rays), based on a DFT-relaxed cell (GGA-PBE, Alexandria).

Largest 6 diffraction maxima, sorted by position, 10 to 90 degrees two-theta:
Position (°2θ)	d (Å)	I (rel.)
31.4	2.852	100
37.1	2.424	13
46.1	1.970	18
51.8	1.764	21
53.5	1.714	21
63.3	1.469	23

Cell lengths 6.8565, 6.8565, 5.1424 Å; angles 90.00, 90.00, 90.00 degrees
Atoms (fractional coordinates):
Cu 0.0060 0.7500 0.0630
Cu 0.2500 0.5060 0.4370
Cu 0.2500 0.9940 0.4370
Cu 0.4940 0.7500 0.0630
Cu 0.5060 0.2500 0.9370
Cu 0.7500 0.0060 0.5630
Cu 0.7500 0.4940 0.5630
Cu 0.9940 0.2500 0.9370
O 0.2500 0.7500 0.2500
O 0.7500 0.2500 0.7500
F 0.0403 0.5403 0.7500
F 0.0403 0.9597 0.7500
F 0.2500 0.2500 0.0850
F 0.2500 0.2500 0.5850
F 0.4597 0.5403 0.7500
F 0.4597 0.9597 0.7500
F 0.5403 0.0403 0.2500
F 0.5403 0.4597 0.2500
F 0.7500 0.7500 0.4150
F 0.7500 0.7500 0.9150
F 0.9597 0.0403 0.2500
F 0.9597 0.4597 0.2500

***

(4)
Cu3OF5: calculated PXRD pattern (Cu Kα X-rays), based on a DFT-relaxed cell (GGA-PBE, Alexandria).

Largest 6 diffraction maxima, sorted by position, 10 to 90 degrees two-theta:
Position (°2θ)	d (Å)	I (rel.)
27.5	3.244	100
33.2	2.697	24
34.2	2.622	36
51.7	1.769	18
53.7	1.706	17
56.8	1.622	18

Cell lengths 4.5751, 4.6108, 10.3454 Å; angles 90.00, 112.44, 90.00 degrees
Atoms (fractional coordinates):
Cu 0.0000 0.2079 0.0000
Cu 0.0000 0.7921 0.5000
Cu 0.3794 0.2516 0.3407
Cu 0.3794 0.7484 0.8407
Cu 0.6992 0.2549 0.6575
Cu 0.6992 0.7451 0.1575
O 0.7209 0.0871 0.4995
O 0.7209 0.9129 0.9995
F 0.0668 0.0289 0.8429
F 0.0668 0.9711 0.3429
F 0.2887 0.4964 0.4879
F 0.2887 0.5036 0.9879
F 0.4182 0.0343 0.1755
F 0.4182 0.9657 0.6755
F 0.6451 0.4412 0.8144
F 0.6451 0.5588 0.3144
F 0.9918 0.4259 0.1646
F 0.9918 0.5741 0.6646

***

(5)
Cu6OF11: calculated PXRD pattern (Cu Kα X-rays), based on a DFT-relaxed cell (GGA-PBE, Alexandria).

Largest 6 diffraction maxima, sorted by position, 10 to 90 degrees two-theta:
Position (°2θ)	d (Å)	I (rel.)
26.4	3.381	100
27.4	3.254	91
33.9	2.641	34
34.0	2.639	33
34.9	2.570	52
50.9	1.794	33

Cell lengths 3.1346, 6.5089, 10.6603 Å; angles 72.23, 87.71, 89.92 degrees
Atoms (fractional coordinates):
Cu 0.0000 0.0000 0.0000
Cu 0.0050 0.3449 0.3337
Cu 0.4831 0.1782 0.6649
Cu 0.5004 0.5372 0.0000
Cu 0.5157 0.8443 0.3350
Cu 0.9943 0.6774 0.6663
O 0.0000 0.7114 0.0001
F 0.0002 0.3117 0.9999
F 0.0161 0.0399 0.3361
F 0.0169 0.6469 0.3374
F 0.4346 0.0775 0.8622
F 0.4935 0.6154 0.7925
F 0.4943 0.7436 0.5346
F 0.5045 0.2788 0.4653
F 0.5061 0.4082 0.2075
F 0.5651 0.9404 0.1378
F 0.9822 0.9833 0.6625
~~~
Response:
F 0.2655 0.1634 0.4630
F 0.2790 0.4776 0.7940
F 0.2868 0.8005 0.1235
F 0.6731 0.8640 0.5614
F 0.6835 0.1817 0.9032
F 0.7087 0.5169 0.2261
F 0.7663 0.3795 0.5905
F 0.7844 0.0359 0.2432
F 0.7923 0.6978 0.8994

***

(2)
Cu4O3F: calculated PXRD pattern (Cu Kα X-rays), based on a DFT-relaxed cell (GGA-PBE, Alexandria).

Largest 6 diffraction maxima, sorted by position, 10 to 90 degrees two-theta:
Position (°2θ)	d (Å)	I (rel.)
20.2	4.396	100
34.3	2.614	34
38.3	2.348	25
38.6	2.333	24
41.1	2.195	29
42.5	2.126	25

Cell lengths 5.1050, 5.1223, 5.2459 Å; angles 62.62, 63.09, 65.39 degrees
Atoms (fractional coordinates):
Cu 0.0000 0.0000 0.0000
Cu 0.0340 0.5460 0.7318
Cu 0.4840 0.5224 0.9966
Cu 0.8372 0.3515 0.5040
O 0.0946 0.6083 0.3300
O 0.2433 0.7668 0.7433
O 0.8177 0.3331 0.1446
F 0.5736 0.0972 0.8062

***

(3)
Cu4OF6: calculated PXRD pattern (Cu Kα X-rays), based on a DFT-relaxed cell (GGA-PBE, Alexandria).

Largest 6 diffraction maxima, sorted by position, 10 to 90 degrees two-theta:
Position (°2θ)	d (Å)	I (rel.)
31.4	2.852	100
37.1	2.424	13
46.1	1.970	18
51.8	1.764	21
53.5	1.714	21
63.3	1.469	23

Cell lengths 6.8565, 6.8565, 5.1424 Å; angles 90.00, 90.00, 90.00 degrees
Atoms (fractional coordinates):
Cu 0.0060 0.7500 0.0630
Cu 0.2500 0.5060 0.4370